What is the Gender Wage Gap in South African Software Development?

In the rapidly changing world of South African technology, the persisting gender wage gap in the software development profession has become a source of worry. Recent publications from OfferZen and Women inTech put light on this growing disparity, providing both statistical insights and a personal perspective on the problems that female engineers experience in the field.

Statistical Overview:

According to Women inTech, women hold only 23% of the country’s tech employment (Mkoko, 2023). This statistical underrepresentation demonstrates a significant gender disparity in the technology business. This trend is supported by OfferZen’s 2023 report, which shows a significant increase in the gender pay gap over the last year, from 6.4% to 13.2% for entry-level developers and from 16.3% to 25.7% for senior devs.

Insights from OfferZen CEO, Philip Joubert:

Philip Joubert, Co-founder and CEO of OfferZen, acknowledges that, while discrimination may play a role, it is only one factor contributing to the growing gender pay gap in technology. Joubert encourages local companies to examine their compensation structures to ensure fair remuneration for women in the industry, emphasising the significance of doing so not only for the sake of equality but also to retain high-quality tech talent in a competitive job market.

The research article also examines the effect of the gender wage gap on developer retention. A striking pattern emerges: developers are increasingly leaving jobs in search of higher pay, benefits, and remote work alternatives. More than half of developers identify a higher pay as the key reason for leaving, up 9.9% from 2022. Furthermore, 20% of engineers now want better benefits, up from 16.6% the previous year (Malinga, 2023).

Between two parts of the entry: materials data =
<<<
For NaZrUSe4, a DFT-relaxed cell (PBE, Alexandria) gives the computed powder diffractogram in this record (CuKα).
Lines closer than 0.1° are merged.

Cell: 8.042 8.700 11.569 Å, 90.00 90.00 90.00°
Space group Imma (No. 74)
Unique sites:
1 Na 0.000 0.250 0.141 x4
2 Zr 0.250 0.250 0.750 x4
3 U 0.000 0.000 0.500 x4
4 Se 0.000 0.035 0.747 x8
5 Se 0.233 0.250 0.514 x8

Top 10 peaks for 2θ from 15° to 90°, low angle first:
3.633 Å, intensity 49, hkl 1 2 1
3.478 Å, intensity 35, hkl 1 0 3
2.953 Å, intensity 100, hkl 2 2 0
2.892 Å, intensity 49, hkl 0 0 4
2.238 Å, intensity 29, hkl 3 2 1
2.175 Å, intensity 22, hkl 0 4 0
2.066 Å, intensity 93, hkl 2 2 4
2.010 Å, intensity 23, hkl 4 0 0
1.738 Å, intensity 18, hkl 0 4 4
1.650 Å, intensity 23, hkl 4 0 4

***

For NaV2Se4, a DFT-relaxed cell (PBE, Alexandria) gives the computed powder diffractogram in this record (CuKα).
Lines closer than 0.1° are merged.

Cell: 3.6263 3.6263 41.6368 Å, 90.00 90.00 120.00°
Space group R3m (No. 160, hexagonal axes)
Unique sites:
1 Na 0.0000 0.0000 0.0000 x3
2 V 0.0000 0.0000 0.4209 x3
3 V 0.0000 0.0000 0.9120 x3
4 Se 0.0000 0.0000 0.1210 x3
5 Se 0.0000 0.0000 0.2119 x3
6 Se 0.0000 0.0000 0.6153 x3
7 Se 0.0000 0.0000 0.7177 x3

Top 10 peaks for 2θ from 15° to 90°, low angle first:
3.105 Å, intensity 23, hkl 0 1 2
3.007 Å, intensity 38, hkl 1 0 4
2.689 Å, intensity 16, hkl 0 1 8
2.507 Å, intensity 100, hkl 1 0 10
2.159 Å, intensity 21, hkl 0 1 14
1.813 Å, intensity 40, hkl 1 1 0
1.735 Å, intensity 28, hkl 0 1 20
1.469 Å, intensity 18, hkl 0 2 10
1.254 Å, intensity 16, hkl 2 0 20
1.142 Å, intensity 16, hkl 2 1 10

***

For NaV4Se8, a DFT-relaxed cell (PBE, Alexandria) gives the computed powder diffractogram in this record (CuKα).
Lines closer than 0.1° are merged.

Cell: 10.474 10.474 10.474 Å, 90.00 90.00 90.00°
Space group F-43m (No. 216)
Unique sites:
1 Na 0.000 0.000 0.000 x4
2 V 0.111 0.111 0.611 x16
3 Se 0.126 0.126 0.374 x16
4 Se 0.144 0.144 0.856 x16

Top 10 peaks for 2θ from 15° to 90°, low angle first:
3.158 Å, intensity 11, hkl 3 1 1
3.024 Å, intensity 59, hkl 2 2 2
2.619 Å, intensity 100, hkl 4 0 0
2.138 Å, intensity 17, hkl 4 2 2
2.016 Å, intensity 18, hkl 5 1 1
1.852 Å, intensity 70, hkl 4 4 0
1.579 Å, intensity 21, hkl 6 2 2
1.512 Å, intensity 19, hkl 4 4 4
1.234 Å, intensity 10, hkl 8 2 2
1.171 Å, intensity 19, hkl 8 4 0

***

For NaV4Se8, a DFT-relaxed cell (PBE, Alexandria) gives the computed powder diffractogram in this record (CuKα).
Lines closer than 0.1° are merged.

Cell: 16.780 3.534 12.028 Å, 90.00 130.25 90.00°
Space group Cm (No. 8)
Unique sites:
1 Na 0.000 0.000 0.000 x2
2 V 0.156 0.000 0.482 x2
3 V 0.175 0.500 0.853 x2
4 V 0.327 0.000 0.157 x2
5 V 0.346 0.500 0.528 x2
6 Se 0.042 0.000 0.744 x2
7 Se 0.122 0.500 0.593 x2
8 Se 0.156 0.500 0.328 x2
9 Se 0.192 0.500 0.076 x2
10 Se 0.310 0.000 0.934 x2
11 Se 0.345 0.000 0.681 x2
12 Se 0.379 0.000 0.417 x2
13 Se 0.460 0.500 0.266 x2

Top 10 peaks for 2θ from 15° to 90°, low angle first:
>>>
End of the materials data =

The emphasis on providing remote work opportunities emerges as a significant factor in keeping the best employees. Developers departing due to a lack of remote work possibilities have increased by 16.1% since the previous report. This is especially true for senior developers, who are in high demand and becoming more selective in their work choices.

(Attached: data records)
+++
CsZn3P3O12: calculated X-ray powder pattern (Cu Kα X-rays), based on a crystal structure in the Materials Project, relaxed with GGA-PBE.
Kinematic intensities with the Lorentz-polarization factor, no thermal factor.

Crystal structure
abc: 5.2693 8.2027 15.1551
angles: 84.68 89.98 71.81
Space group P-1 (No. 2)
One atom of each set of equivalent atoms:
Cs (0.2099, 0.0936, 0.2546) (multiplicity 2)
Zn (0.1254, 0.1783, 0.9515) (multiplicity 2)
Zn (0.1338, 0.1668, 0.5735) (multiplicity 2)
Zn (0.4879, 0.5803, 0.1382) (multiplicity 2)
P (0.0592, 0.3425, 0.7535) (multiplicity 2)
P (0.3677, 0.7798, 0.9389) (multiplicity 2)
P (0.3903, 0.7594, 0.5422) (multiplicity 2)
O (0.0168, 0.5257, 0.7102) (multiplicity 2)
O (0.1550, 0.9557, 0.9106) (multiplicity 2)
O (0.2099, 0.2020, 0.6948) (multiplicity 2)
O (0.2184, 0.6750, 0.2247) (multiplicity 2)
O (0.2198, 0.9112, 0.5915) (multiplicity 2)
O (0.2270, 0.3109, 0.8441) (multiplicity 2)
O (0.2499, 0.7489, 0.4542) (multiplicity 2)
O (0.2682, 0.7042, 0.0284) (multiplicity 2)
O (0.3293, 0.2247, 0.4744) (multiplicity 2)
O (0.3522, 0.2050, 0.0455) (multiplicity 2)
O (0.3713, 0.6642, 0.8638) (multiplicity 2)
O (0.4289, 0.5890, 0.6025) (multiplicity 2)

Main lines, low angle first (2θ = 10–90°):
| 2θ/deg | d [Å] | I_rel |
| --- | --- | --- |
| 11.41 | 7.755 | 30 |
| 20.09 | 4.420 | 27 |
| 24.00 | 3.708 | 41 |
| 24.26 | 3.669 | 79 |
| 24.76 | 3.595 | 100 |
| 25.49 | 3.494 | 87 |
| 25.60 | 3.480 | 88 |
| 34.03 | 2.635 | 62 |
| 35.74 | 2.512 | 21 |
| 39.60 | 2.276 | 22 |

CsZr2P3O12: calculated X-ray powder pattern (Cu Kα X-rays), based on a crystal structure in the Materials Project, relaxed with GGA-PBE.
Kinematic intensities with the Lorentz-polarization factor, no thermal factor.

Crystal structure
abc: 8.7654 8.7654 25.1588
angles: 90.00 90.00 120.00
Space group R-3c (No. 167, hexagonal axes)
One atom of each set of equivalent atoms:
Cs (0.0000, 0.0000, 0.0000) (multiplicity 6)
Zr (0.0000, 0.0000, 0.1522) (multiplicity 12)
P (0.0000, 0.2833, 0.2500) (multiplicity 18)
O (0.0264, 0.2042, 0.8983) (multiplicity 36)
O (0.0597, 0.2154, 0.2021) (multiplicity 36)

Main lines, low angle first (2θ = 10–90°):
| 2θ/deg | d [Å] | I_rel |
| --- | --- | --- |
| 20.26 | 4.383 | 85 |
| 22.90 | 3.884 | 31 |
| 29.48 | 3.030 | 100 |
| 35.48 | 2.530 | 27 |
| 41.69 | 2.166 | 21 |
| 46.77 | 1.942 | 30 |
| 55.47 | 1.656 | 19 |
| 56.66 | 1.624 | 12 |
| 57.05 | 1.614 | 14 |
| 60.05 | 1.541 | 18 |

~~~~~

This entry pairs a crystal structure of Rb2Pu2O5 with its simulated X-ray powder pattern. Radiation: CuKα. Structure: a GGA-PBE-relaxed structure.
Intensities are scaled so that the largest is 100.

Structural model:
```
data_Rb2Pu2O5
_cell_length_a 4.338
_cell_length_b 4.338
_cell_length_c 9.027
_cell_angle_alpha 90.00
_cell_angle_beta 90.00
_cell_angle_gamma 90.00
_space_group_name_H-M_alt 'P 4/m m m'
_space_group_IT_number 123
_space_group_name_Hall '-P 4 2'
loop_
_atom_site_label
_atom_site_fract_x
_atom_site_fract_y
_atom_site_fract_z
+++
(So much for the data records)

As a second year computer science student entering the software development field, the widening gender pay gap raises eyebrows and sparks introspection. It’s disconcerting to think that, despite our collective technological strides, there is an enduring inequality that demands urgent rectification.

From my perspective, the inequity of having to work doubly hard as a female student compared to my male counterparts to secure a job is a glaring reality that points to systemic issues within the tech industry. Equality should be the bedrock of any profession, and the software development field should exemplify this principle. The hiring decisions should be based on the skills, dedication, and potential of individuals, devoid of any gender biases.

********
This entry pairs a crystal structure of CeHoGaGe with its theoretical powder diffraction line list. Radiation: Cu Kα, 1.54184 Å. Structure: a crystal structure in Alexandria, relaxed with PBE.
Neutral-atom scattering factors, no anomalous dispersion.

Main lines, by angle (2θ = 10–90°):
d (Å)	Position (°2θ)	intensity	hkl
3.249	27.46	22.9	1 0 2
2.857	31.31	100.0	1 1 1
2.800	31.96	41.6	0 1 3
2.741	32.67	26.9	0 0 4
2.300	39.17	50.7	1 1 3
2.267	39.76	18.3	1 0 4
2.178	41.46	25.7	0 2 0
2.016	44.96	20.4	2 0 0
1.636	56.22	16.7	2 1 3
1.480	62.80	14.9	2 2 0

Structure:
Lattice parameters (Å, degrees): 4.0328 4.3563 10.9656 90.00 90.00 90.00
Space group Amm2 (No. 38)
Symmetry-distinct sites (fractional):
Ce: 0.0000 0.0000 0.0000 (multiplicity 2)
Ho: 0.5000 0.0000 0.2810 (multiplicity 2)
Ga: 0.5000 0.0000 0.5673 (multiplicity 2)
Ge: 0.0000 0.0000 0.7211 (multiplicity 2)

This entry pairs a crystal structure of In3GaAg with its theoretical powder diffraction line list. Radiation: Cu Kα, 1.54184 Å. Structure: a crystal structure in Alexandria, relaxed with PBE.
Neutral-atom scattering factors, no anomalous dispersion.

Main lines, by angle (2θ = 10–90°):
d (Å)	Position (°2θ)	intensity	hkl
2.806	31.89	14.9	1 1 2
2.776	32.25	100.0	5 1 1
2.511	35.76	24.3	3 3 -1
2.421	37.13	53.3	4 0 -2
2.394	37.57	24.5	6 2 0
2.305	39.09	20.0	2 4 0
2.161	41.80	13.9	4 2 -2
1.679	54.65	12.8	1 3 3
1.548	59.73	15.3	6 4 2
1.492	62.23	10.0	4 6 0

Structure:
Lattice parameters (Å, degrees): 16.5752 9.5968 5.9639 90.00 90.10 90.00
Space group C2/c (No. 15)
Symmetry-distinct sites (fractional):
In: 0.0675 0.2500 0.0006 (multiplicity 8)
In: 0.1480 0.0916 0.4554 (multiplicity 8)
In: 0.1477 0.4071 0.5461 (multiplicity 8)
Ga: 0.2494 0.3480 0.1496 (multiplicity 8)
Ag: 0.0000 0.0045 0.7500 (multiplicity 4)
Ag: 0.0000 0.4955 0.2500 (multiplicity 4)

This entry pairs a crystal structure of Mg2Cu7Se3 with its theoretical powder diffraction line list. Radiation: Cu Kα, 1.54184 Å. Structure: a crystal structure in Alexandria, relaxed with PBE.
Neutral-atom scattering factors, no anomalous dispersion.

Main lines, by angle (2θ = 10–90°):
d (Å)	Position (°2θ)	intensity	hkl
2.990	29.89	27.3	0 0 9
2.869	31.17	35.5	1 0 7
2.652	33.80	55.3	0 1 8
2.489	36.08	26.0	1 1 0
2.177	41.49	100.0	1 1 6
2.149	42.05	66.9	0 2 1
2.128	42.48	57.9	0 1 11
2.053	44.11	28.2	0 2 4
2.001	45.31	69.0	2 0 5
1.245	76.54	31.8	2 2 0

Structure:
Lattice parameters (Å, degrees): 4.9788 4.9788 26.9057 90.00 90.00 120.00
Space group R-3m (No. 166, hexagonal axes)
Symmetry-distinct sites (fractional):
Mg: 0.0000 0.0000 0.1677 (multiplicity 6)
Cu: 0.0000 0.0000 0.0000 (multiplicity 3)
Cu: 0.0041 0.5021 0.4087 (multiplicity 18)
Se: 0.0000 0.0000 0.3680 (multiplicity 6)
Se: 0.0000 0.0000 0.5000 (multiplicity 3)

This entry pairs a crystal structure of ZnCr2Fe2 with its theoretical powder diffraction line list. Radiation: Cu Kα, 1.54184 Å. Structure: a crystal structure in Alexandria, relaxed with PBE.
********

Efforts to close this gap should not rely just on aspiring female developers, but should include collaborative initiatives from industry leaders, businesses, and educational institutions. To promote gender equality, businesses must actively examine their wage arrangements and create inclusive workplaces.

In conclusion, the rising gender wage gap in South African technology requires immediate action from all stakeholders. Addressing these gaps is more than simply about equality; it is critical to our industry’s long-term growth and competitiveness. The findings from OfferZen, Women inTech, and my own observations highlight the obstacles that women face in technology and point the way to a more inclusive and equitable tech industry in South Africa.


Malinga, S., 2023. SA’s female developers still earn less than males. [Online]
Available at: https://www.itweb.co.za/article/sas-female-developers-still-earn-less-than-males/Pero3MZ3yW3qQb6m

Mkoko, S., 2023. SA gender pay gap in the tech industry continues to widen. [Online]
Available at: https://www.topbusinesswomen.co.za/sa-gender-pay-gap-in-the-tech-industry-continues-to-widen/